'''
Below is U2H2SI after structural relaxation, with properties calculated at the PBE level.

a b c (Å): 3.7721 3.7721 8.5164
angles (deg): 90.00 90.00 120.00
With the nearest neighbours (Å) after each atom.
Space group P-3m1 (No. 164)
Symmetry-distinct sites (fractional):
U (0.3333, 0.6667, 0.1971) x2  3 H 2.22
H (0.3333, 0.6667, 0.7516) x2  3 U 2.22
S (0.0000, 0.0000, 0.0000) x1  6 U 2.75, 6 H 3.04
I (0.0000, 0.0000, 0.5000) x1  6 H 3.06, 6 U 3.38

Calculated values
E_tot ... -6.4923 eV/atom
'''
Could you return the block further above from the first line to the one with "0.1971) x2" with every line break kept?
Below is U2H2SI after structural relaxation, with properties calculated at the PBE level.

a b c (Å): 3.7721 3.7721 8.5164
angles (deg): 90.00 90.00 120.00
With the nearest neighbours (Å) after each atom.
Space group P-3m1 (No. 164)
Symmetry-distinct sites (fractional):
U (0.3333, 0.6667, 0.1971) x2  3 H 2.22